Exercise.
Could you say how many lines of the data further down hold the word "Ti", as a bare number?

Contents.
........
Record 1
Compound: Na8Sc2Ti2Si5SO24
Source: the Materials Project
Functional: GGA-PBE
Structure: optimized geometry

Computed properties:
ΔE_f = -2944.0 meV/atom
density = 2.880 g/cm³
DFT total energy = -7.05 eV/atom

Cell: 9.089 9.103 22.332 Å, 90.27 90.27 119.90°
Fractional coordinates of all 126 atoms:
1 Na 0.000 0.000 0.000
2 Na 0.001 0.364 0.754
3 Na 0.034 0.684 0.176
4 Na 0.039 0.056 0.669
5 Na 0.289 0.686 0.674
6 Na 0.305 0.329 0.170
7 Na 0.323 0.025 0.585
8 Na 0.324 0.656 0.337
9 Na 0.330 0.386 0.837
10 Na 0.347 0.034 0.087
11 Na 0.368 0.357 0.504
12 Na 0.374 0.730 0.000
13 Na 0.618 0.346 0.005
14 Na 0.627 0.985 0.501
15 Na 0.652 0.059 0.169
16 Na 0.657 0.693 0.919
17 Na 0.660 0.328 0.670
18 Na 0.666 0.693 0.422
19 Na 0.687 0.018 0.838
20 Na 0.700 0.385 0.337
21 Na 0.963 0.024 0.339
22 Na 0.972 0.660 0.835
23 Na 0.996 0.729 0.504
24 Na 0.997 0.364 0.256
25 Sc 0.323 0.022 0.739
26 Sc 0.338 0.024 0.239
27 Sc 0.338 0.031 0.934
28 Sc 0.645 0.683 0.068
29 Sc 0.666 0.681 0.566
30 Sc 0.995 0.354 0.106
31 Ti 0.000 0.340 0.898
32 Ti 0.009 0.371 0.601
33 Ti 0.329 0.022 0.438
34 Ti 0.645 0.667 0.277
35 Ti 0.658 0.668 0.775
36 Ti 0.995 0.355 0.403
37 Si 0.029 0.016 0.837
38 Si 0.036 0.729 0.337
39 Si 0.286 0.352 0.003
40 Si 0.287 0.651 0.501
41 Si 0.323 0.310 0.338
42 Si 0.330 0.724 0.837
43 Si 0.367 0.395 0.669
44 Si 0.369 0.691 0.172
45 Si 0.626 0.023 0.338
46 Si 0.631 0.318 0.837
47 Si 0.662 0.397 0.170
48 Si 0.705 0.064 0.003
49 Si 0.707 0.351 0.503
50 Si 0.956 0.687 0.670
51 Si 0.999 0.071 0.503
52 S 0.666 0.982 0.671
53 S 0.952 0.978 0.171
54 S 0.997 0.649 0.003
55 O 0.011 0.189 0.844
56 O 0.014 0.540 0.345
57 O 0.024 0.571 0.058
58 O 0.030 0.196 0.562
59 O 0.106 0.976 0.896
60 O 0.125 0.998 0.175
61 O 0.133 0.859 0.395
62 O 0.147 0.852 0.675
63 O 0.151 0.818 0.999
64 O 0.152 0.066 0.779
65 O 0.152 0.808 0.278
66 O 0.159 0.535 0.845
67 O 0.161 0.339 0.345
68 O 0.163 0.558 0.561
69 O 0.171 0.326 0.062
70 O 0.172 0.056 0.497
71 O 0.177 0.379 0.665
72 O 0.186 0.516 0.169
73 O 0.188 0.382 0.945
74 O 0.191 0.523 0.445
75 O 0.287 0.198 0.277
76 O 0.290 0.805 0.778
77 O 0.298 0.836 0.497
78 O 0.301 0.180 0.999
79 O 0.345 0.858 0.175
80 O 0.352 0.209 0.675
81 O 0.364 0.221 0.395
82 O 0.370 0.844 0.896
83 O 0.464 0.521 0.728
84 O 0.473 0.670 0.507
85 O 0.474 0.665 0.229
86 O 0.475 0.524 0.003
87 O 0.486 0.485 0.611
88 O 0.488 0.728 0.112
89 O 0.490 0.213 0.174
90 O 0.495 0.988 0.395
91 O 0.499 0.500 0.332
92 O 0.501 0.706 0.828
93 O 0.508 0.245 0.895
94 O 0.512 0.001 0.675
95 O 0.514 0.040 0.999
96 O 0.519 0.179 0.497
97 O 0.551 0.066 0.279
98 O 0.553 0.199 0.777
99 O 0.638 0.877 0.616
100 O 0.639 0.488 0.111
101 O 0.644 0.852 0.331
102 O 0.647 0.508 0.829
103 O 0.689 0.524 0.229
104 O 0.690 0.521 0.505
105 O 0.690 0.901 0.724
106 O 0.701 0.882 0.004
107 O 0.788 0.183 0.063
108 O 0.802 0.323 0.562
109 O 0.815 0.192 0.346
110 O 0.820 0.152 0.666
111 O 0.822 0.347 0.847
112 O 0.829 0.659 0.728
113 O 0.829 0.886 0.507
114 O 0.831 0.168 0.945
115 O 0.831 0.382 0.445
116 O 0.835 0.382 0.170
117 O 0.837 0.853 0.827
118 O 0.845 0.668 0.009
119 O 0.847 0.715 0.331
120 O 0.847 0.898 0.224
121 O 0.873 0.726 0.612
122 O 0.875 0.875 0.116
123 O 0.965 0.509 0.665
124 O 0.969 0.150 0.167
125 O 0.970 0.541 0.949
126 O 0.971 0.165 0.445

***

Record 2
Compound: B
Source: the Materials Project
Functional: GGA-PBE
Structure: optimized geometry

Computed properties:
ΔE_f = 27.4 meV/atom
density = 2.569 g/cm³
relative energy among the computed polymorphs = 0.0274 eV/atom
DFT total energy = -6.65 eV/atom

Cell: 5.043 5.612 6.915 Å, 90.00 90.00 90.00°
Fractional coordinates of all 28 atoms:
1 B 0.148 0.228 0.000
2 B 0.153 0.407 0.209
3 B 0.153 0.407 0.791
4 B 0.161 0.719 0.126
5 B 0.161 0.719 0.874
6 B 0.165 0.992 0.500
7 B 0.170 0.479 0.500
8 B 0.330 0.979 0.000
9 B 0.335 0.492 0.000
10 B 0.339 0.219 0.374
11 B 0.339 0.219 0.626
12 B 0.347 0.907 0.291
13 B 0.347 0.907 0.709
14 B 0.352 0.728 0.500
15 B 0.648 0.272 0.500
16 B 0.653 0.093 0.291
........

Written answer.
6